Friday, January 1, 2016

Happy New Year!

It's been over two years since I last posted, so this feels like starting all over again.  Nine years ago I started book blogging with my review of I Capture the Castle.  Back then I did quirky things like make some words really big and I divided my reading  into categories like "Read Aloud" and "Comfy-Chair Reading." I remember the discovery and subsequent addiction to reading challenges, and the novelty and genius of Dewey's first 24-hour-Readathons when there were actually less than 100 participants and you could visit everyone. I remember signing up for my first A to Z Challenge and thinking it would be impossible to read 52 books in a year.  How young and naive I was then!  By the end of the year I had read 126 books, completing the 100+ Challenge.  After that honeymoon phase of binge reading and book blogging--my blog was entitled "ChainReader" back then--I tapered off a bit, but still find my life unfulfilled if I'm not juggling a few books at a time, and I feel like a good benchmark is around 75 books a year.

So here I am at the beginning of 2016, ready to blog again, for pretty much the same reason:  I actually want to remember something about the books I read!  My goal is to review every book I read this year.  I used to do that, but then I didn't.

The last couple of years have been pretty busy.  I went back to school and earned my Bachelor's Degree in History. We moved to a new house.  My husband got a new job.  I sent one daughter off to college in Idaho, and one son off to college in Utah and then on a church mission to Kansas. I served in a stressful but rewarding position at church with the youth.  And I gained about 30 pounds, darn it!

But now I have a little more time to commit to reviewing.  I plan to go back to school in the sort-of-near future to either get a teaching credential or a masters degree.  In the mean time, while I decide what I want to be when I grow up, I figure I have time to read and review. I also have dreams of opening an Etsy shop to sell wooden signs of movie and book quotes and training for a half-marathon.  Oh, and I'm going to lose that 30 pounds, and then some.

Unrelated to this article: data records:
-- begin --
(1)
The following is a PBE calculation of a geometry-optimized Ba3Na2Sb4 structure, from the Materials Project database.

Lattice parameters (Å, degrees): 9.255 8.295 19.688 90.00 118.01 90.00
Fractional coordinates of all 36 atoms:
Ba (0.095, 0.011, 0.404)
Ba (0.095, 0.489, 0.904)
Ba (0.216, 0.511, 0.403)
Ba (0.216, 0.989, 0.903)
Ba (0.311, 0.173, 0.130)
Ba (0.311, 0.327, 0.630)
Ba (0.689, 0.673, 0.370)
Ba (0.689, 0.827, 0.870)
Ba (0.784, 0.011, 0.097)
Ba (0.784, 0.489, 0.597)
Ba (0.905, 0.511, 0.096)
Ba (0.905, 0.989, 0.596)
Na (0.234, 0.651, 0.751)
Na (0.234, 0.849, 0.251)
Na (0.452, 0.672, 0.127)
Na (0.452, 0.828, 0.627)
Na (0.548, 0.172, 0.373)
Na (0.548, 0.328, 0.873)
Na (0.766, 0.151, 0.749)
Na (0.766, 0.349, 0.249)
Sb (0.071, 0.658, 0.537)
Sb (0.071, 0.842, 0.037)
Sb (0.116, 0.225, 0.249)
Sb (0.116, 0.275, 0.749)
Sb (0.333, 0.021, 0.751)
Sb (0.333, 0.479, 0.251)
Sb (0.497, 0.653, 0.964)
Sb (0.497, 0.847, 0.464)
Sb (0.503, 0.153, 0.536)
Sb (0.503, 0.347, 0.036)
Sb (0.667, 0.521, 0.749)
Sb (0.667, 0.979, 0.249)
Sb (0.884, 0.725, 0.251)
Sb (0.884, 0.775, 0.751)
Sb (0.929, 0.158, 0.963)
Sb (0.929, 0.342, 0.463)

Computed properties:
**Raw total energy**: -3.58 eV per atom
**ΔH_f (0 K)**: -0.8930 eV/atom
**Crystal system**: monoclinic

---

(2)
The following is a PBE calculation of a geometry-optimized MgTe2Mo2W2Se4S2 structure, from the Materials Project database.

Lattice parameters (Å, degrees): 3.343 3.343 45.732 90.00 90.00 120.00
Fractional coordinates of all 13 atoms:
Mg (0.000, 0.000, 0.000)
Te (0.667, 0.333, 0.690)
Te (0.667, 0.333, 0.773)
Mo (0.333, 0.667, 0.732)
Mo (0.667, 0.333, 0.914)
W (0.333, 0.667, 0.117)
W (0.667, 0.333, 0.296)
Se (0.333, 0.667, 0.260)
Se (0.333, 0.667, 0.333)
Se (0.667, 0.333, 0.081)
Se (0.667, 0.333, 0.154)
S (0.333, 0.667, 0.881)
S (0.333, 0.667, 0.948)

Computed properties:
**Raw total energy**: -6.43 eV per atom
**Size of the total moment**: 0.0 μB/f.u.
**ΔH_f (0 K)**: -0.5278 eV/atom
**Energy relative to the lowest polymorph listed for this composition**: 0.239 eV/f.u.
**Crystal system**: trigonal

---

(3)
The following is a PBE calculation of a geometry-optimized YInPd structure, from the Materials Project database.

Lattice parameters (Å, degrees): 7.819 7.819 3.772 90.00 90.00 120.00
Fractional coordinates of all 9 atoms:
Y (0.000, 0.591, 0.000)
Y (0.409, 0.409, 0.000)
Y (0.591, 0.000, 0.000)
In (0.000, 0.261, 0.500)
In (0.261, 0.000, 0.500)
In (0.739, 0.739, 0.500)
Pd (0.000, 0.000, 0.000)
Pd (0.333, 0.667, 0.500)
Pd (0.667, 0.333, 0.500)

Computed properties:
**Raw total energy**: -5.62 eV per atom
**ΔH_f (0 K)**: -0.8224 eV/atom
**Crystal system**: hexagonal

----------

# 1
# PrFeH8C6N6O4

An optimized crystal structure of PrFeH8C6N6O4 (PBE+U, the Materials Project database).

Unit cell a=7.9260 b=7.9260 c=14.4140 alpha=90.00 beta=90.00 gamma=120.50
Last column: nearest neighbours and their distance in Å.
Atoms (fractional coordinates):
Pr (0.1760, 0.8240, 0.7500)  2 O 2.49, 6 N 2.57-2.61
-- stop --
End of the data records:

I realize I maybe be writing to the air.  The last time I blogged I was still bemoaning the death of Google Reader, and reluctantly signing up with Feedly and Bloglovin. I don't even know if Feedly is still a thing.  I check Bloglovin from time to time, so I know it's there, and I'm on it.  If that even means anything anymore.

So if by chance you're reading this--

== The entry is interrupted by calculated crystals ==
┌──
No. 1
# Rb2NaZn2H5C4O14 | the Materials Project | GGA-PBE | relaxed
data_Rb2NaZn2H5C4O14
_symmetry_space_group_name_H-M 'P 1 21/c 1'
_symmetry_Int_Tables_number 14
_cell_length_a 5.247
_cell_length_b 11.581
_cell_length_c 11.885
_cell_angle_alpha 90.00
_cell_angle_beta 114.18
_cell_angle_gamma 90.00
loop_
_symmetry_equiv_pos_as_xyz
'x,y,z'
'-x,-y,-z'
'-x,y+1/2,-z+1/2'
'x,-y+1/2,z+1/2'
loop_
_atom_site_label
_atom_site_fract_x
_atom_site_fract_y
_atom_site_fract_z
Rb1 0.043 0.166 0.076
Na1 0.000 0.000 0.500
Zn1 0.332 0.601 0.798
H1 0.060 0.701 0.181
H2 0.379 0.672 0.226
H3 0.500 0.000 0.000
C1 0.288 0.072 0.819
C2 0.430 0.124 0.435
O1 0.056 0.064 0.832
O2 0.210 0.162 0.444
O3 0.249 0.719 0.250
O4 0.298 0.110 0.719
O5 0.333 0.615 0.967
O6 0.427 0.090 0.329
O7 0.478 0.541 0.590
# DFT formation energy: -1.7973 eV per atom

No. 2
# NaNdGa4Se8 | the Materials Project | GGA-PBE | relaxed
data_NaNdGa4Se8
_symmetry_space_group_name_H-M 'F d d d'
_symmetry_Int_Tables_number 70
_cell_length_a 12.870
_cell_length_b 21.389
_cell_length_c 21.445
_cell_angle_alpha 90.00
_cell_angle_beta 90.00
_cell_angle_gamma 90.00
loop_
_symmetry_equiv_pos_as_xyz
'x,y,z'
'-x,-y,-z'
'-x+1/4,-y+1/4,z'
'x+1/4,y+1/4,-z'
'x,-y+1/4,-z+1/4'
'-x,y+1/4,z+1/4'
'-x+1/4,y,-z+1/4'
'x+1/4,-y,z+1/4'
'x,y+1/2,z+1/2'
'-x,-y+1/2,-z+1/2'
'-x+1/4,-y+3/4,z+1/2'
'x+1/4,y+3/4,-z+1/2'
'x,-y+3/4,-z+3/4'
'-x,y+3/4,z+3/4'
'-x+1/4,y+1/2,-z+3/4'
'x+1/4,-y+1/2,z+3/4'
'x+1/2,y,z+1/2'
'-x+1/2,-y,-z+1/2'
'-x+3/4,-y+1/4,z+1/2'
'x+3/4,y+1/4,-z+1/2'
'x+1/2,-y+1/4,-z+3/4'
'-x+1/2,y+1/4,z+3/4'
'-x+3/4,y,-z+3/4'
'x+3/4,-y,z+3/4'
'x+1/2,y+1/2,z'
'-x+1/2,-y+1/2,-z'
'-x+3/4,-y+3/4,z'
'x+3/4,y+3/4,-z'
'x+1/2,-y+3/4,-z+1/4'
'-x+1/2,y+3/4,z+1/4'
'-x+3/4,y+1/2,-z+1/4'
'x+3/4,-y+1/2,z+1/4'
loop_
_atom_site_label
_atom_site_fract_x
_atom_site_fract_y
_atom_site_fract_z
Na1 0.125 0.125 0.372
Nd1 0.125 0.125 0.125
Nd2 0.125 0.125 0.625
Ga1 0.084 0.305 0.251
Ga2 0.124 0.260 0.753
Se1 0.003 0.093 0.247
Se2 0.004 0.002 0.087
Se3 0.006 0.003 0.587
Se4 0.017 0.084 0.750
# DFT formation energy: -1.1820 eV per atom

No. 3
# K2NaGaAs2 | the Materials Project | GGA-PBE | relaxed
data_K2NaGaAs2
_symmetry_space_group_name_H-M 'I b a m'
_symmetry_Int_Tables_number 72
_symmetry_space_group_name_Hall '-I 2 2c'
_cell_length_a 6.801
_cell_length_b 15.068
_cell_length_c 6.655
_cell_angle_alpha 90.00
_cell_angle_beta 90.00
_cell_angle_gamma 90.00
loop_
_atom_site_label
_atom_site_fract_x
_atom_site_fract_y
_atom_site_fract_z
K1 0.245 0.173 0.000
Na1 0.000 0.000 0.250
Ga1 0.000 0.500 0.250
As1 0.202 0.405 0.000
# DFT formation energy: -0.5003 eV per atom

No. 4
# K3IrN6O12 | the Materials Project | GGA-PBE | relaxed
data_K3IrN6O12
_symmetry_space_group_name_H-M 'F m -3 m'
_symmetry_Int_Tables_number 225
_symmetry_space_group_name_Hall '-F 4 2 3'
_cell_length_a 10.431
_cell_length_b 10.431
_cell_length_c 10.431
_cell_angle_alpha 90.00
_cell_angle_beta 90.00
_cell_angle_gamma 90.00
loop_
_atom_site_label
_atom_site_fract_x
_atom_site_fract_y
└──

Hi!  I'm back.


  1. Welcome back! It sounds like you have been very busy but I am glad to hear that you are back! Hope you enjoy getting back to blogging!

  2. Welcome back! I'm still bemoaning the loss of Google Reader - Bloglovin' just ain't the same. You've been a busy woman and it doesn't sound like that's going to slow down any time soon!

  3. Hi again! Life can take you in a different direction for a while, but glad to see you back to blogging. I use feedly. I was pretty annoyed for a while that google reader was gone. Eager to see what books you've been reading.

  4. Welcome back! Feedly is still a thing, but I'm finding that I simply put the blogs I don't want to miss on my blogroll and then click on them straight from my own blog. I know it's EXTREMELY old fashioned, but you know... whatever works!
